We believe in women.
Rescue Restore Reward Refuge for Women
342 Waller Avenue, Suite D | Lexington, KY 40504 859.254.0041 | RefugeForWomen.org Follow us on Twitter @KYrefuge4women “Like” us on Facebook
2014 Corporate Sponsorship Opportunity Packet
A Message from our Founder and Executive Director Thank you for taking the time to learn more about Refuge for Women and about how partnerships are being formed in the community. We know that as a business leader your time is valuable and opportunities to be involved in the community are limitless. We consider it a privilege for you to take time to learn about a topic that at times is easier to ignore. Refuge for Women helps women escape a dark industry that plagues the majority of communities in America in one way or another. The sex industry encompasses strip clubs, prostitution, pornography, sex trafficking victims and escort agencies. Unfortunately, the United States has more strip clubs than any other nation in the world and produces the majority of pornography that gets shipped around the world as well. It is an industry that is destroying lives and creating a ripple effect of destruction beyond just those that are supporting it. The good news is that opportunities for women to escape this industry are being made available by individuals and businesses like you that are getting involved. Even though the United States is contributing to this industry they are also the most generous nation on Earth according to last year’s statistics. There was over 316 billion dollars donated to non profits by Americans. That is a lot of generosity and a lot of action oriented people wanting to respond to a need of some kind. We have benefited from this generosity and seen a lot of people respond to the mission of seeing women find Refuge. Our desire is to create partnerships that will help women escape this industry and allow businesses to positively affect their employees and customers through their involvement with Refuge for Women. In the following pages of this document we would like to share with you our ideas of how this can be accomplished. We are open to your ideas as well about partnering together. Let’s make our community better by being proactive with this need we have been confronted with. We want every little girl to grow up and pursue the dreams that she was instilled with.
Refuge for Women is a faith-based, non-profit organization that aims to offer a new beginning to women who wish to leave the sex industry. There is no charge to guests as they live and work together as a family towards healing. Refuge for Women uses volunteers and curriculum through a mentoring style approach to help each woman progress through our one-year, four-level healing program. We ask each woman for a minimum of a threemonth commitment with the option of staying longer if she chooses. During their time at The Refuge, women develop and work on a “Life Plan” focusing on physical and emotional health, spiritual growth, education, and life skills necessary for a stable and productive life. Our desire is for each woman to identify the goals she wants to achieve while in the program. We actively seek to help her make strides towards the accomplishment of those goals. As women complete their time with us, they have the opportunity to serve other women in the industry through ministry internships or may choose to pursue resources towards further education and stable employment.
Our Vision Offer a new beginning to women in the sex industry
Our Mission Provide a residential healing experience for women to pursue their dreams
Our Values • • • • •
Thanks for being a positive light in our community!
Ked Frank
Founder & Executive Director
About Us
Refuge for Women’s Founder and Executive Director, Ked Frank, pictured with his family
The value of each woman is immeasurable The Bible is our guide H ealing happens in a family environment Sex is a gift from God Extend hope to the hopeless
For more information about Refuge for Women, visit RefugeForWomen.org. 1
R escue $$$$$$$$$$ you know ... $$$$$$$$$$ $ $ $ $More $ $women $ $are$ $ $ $ $employed $ $ $ $in the$SEX $$ $ $ $industry $ $ $right $ $ now $$ than any other time in history? $$$$$$$$$$ SEX$industry $ $ $The $ $ $ $is$a 97$ $ $ Billion $ $ $Dollar $ $ $worldwide $$ business $$$$ $ $annually $ $ $? $ $$$$$$$ did
Each represents one billion dollars.
At least 75%% of prostitutes were
sexually and/or physically abused as children?
The average
age of girls entering into the sex industry is 12 years old? 3
“My life was full of physical and
- - -
No. 1
A plane-wave DFT calculation with PBE was carried out for crystalline Pr2PdBr at its relaxed geometry.

abc: 8.2970 8.2970 8.2970
angles: 29.40 29.40 29.40
Closest atoms and distances in Å follow each position.
Atoms (fractional coordinates):
Pr 0.0000 0.0000 0.0000  3 Pd 2.91
Pr 0.1990 0.1990 0.1990  3 Pd 2.91
Pd 0.5998 0.5998 0.5998  6 Pr 2.91
Br 0.4314 0.4314 0.4314  6 Pr 3.37-3.42

Values from the calculation:
- uncorrected energy (eV per atom) = -5.079
- SG = No. 160
- distance to the lowest polymorph of the same formula (eV per atom) = 0.0144
- density (kg/m³) = 6383
- formation energy without anion corrections (meV per atom) = -973

---

No. 2
A plane-wave DFT calculation with PBE was carried out for crystalline CrFe3 at its relaxed geometry.

abc: 4.0020 4.0020 4.0020
angles: 60.00 60.00 60.00
Closest atoms and distances in Å follow each position.
Atoms (fractional coordinates):
Cr 0.0000 0.0000 0.0000  8 Fe 2.45
Fe 0.2500 0.2500 0.2500  4 Fe 2.45, 4 Cr 2.45
Fe 0.5000 0.5000 0.5000  8 Fe 2.45
Fe 0.7500 0.7500 0.7500  4 Fe 2.45, 4 Cr 2.45

Values from the calculation:
- uncorrected energy (eV per atom) = -8.692
- SG = No. 225
- density (kg/m³) = 8043
- calculated formation energy (eV per formula unit) = 0.24

---

No. 3
A plane-wave DFT calculation with PBE was carried out for crystalline CrFeP2 at its relaxed geometry.

abc: 3.7838 3.7838 5.0337
angles: 101.93 101.93 42.41
Closest atoms and distances in Å follow each position.
Atoms (fractional coordinates):
Cr 0.0000 0.0000 0.0000  6 P 2.42-2.45
Fe 0.5000 0.5000 0.5000  6 P 2.31-2.32
P 0.2482 0.2482 0.7273  3 Fe 2.31-2.32, 3 Cr 2.42-2.45
P 0.7518 0.7518 0.2727  3 Fe 2.31-2.32, 3 Cr 2.42-2.45

Values from the calculation:
- uncorrected energy (eV per atom) = -7.376
- SG = No. 12
- distance to the lowest polymorph of the same formula (eV per atom) = 0.4075
- density (kg/m³) = 5949
- calculated formation energy (eV per formula unit) = -0.60
- - -
(End of the materials data)
sexual abuse as a young girl.
A Glimpse of our Graduates
a house with an alcoholic mother and her physically abusive boyfriends
“I’m a 45 year old grateful lover of Jesus
teen years. I was tossed
Living in
caused me to rebel and the anger inside of me just raged as I grew into my
around from foster home to foster home, but no
and a recovering addict. For the last 30
one could handle my anger.
years of my life, I had been in and out of
I spent time in Teen Challenge. At the age of 18, I began experimenting
prison, in and out of rehabs and addicted to drugs and alcohol. After being sexually abused at only 7 years old and seeing only violence and abuse around me as a child, I began being
sexually active and accepting money for it in my early teens. This destructive addictive pattern continued through my life. I lost parental rights to my three children. I had no
hope of ever changing my lifestyle until February of 2012 when I knew God was calling me to seek healing at the Refuge for Women in Lexington, Kentucky. I was skeptical at first, but I was also desperate and at an all time low. There was something different about this place, while I wanted to give up on myself, I didn’t. It’s been a year and a half and I am so grateful to be living in a transitional home and working full time. I know that God has always had His hand on me for if not, I would not be here. I have a heart to “give back” to others and am blessed to serve at the Refuge for Women and love on the guests! My God is an awesome God and I thank him daily for saving a wretch like me!” - Frances
with drugs. I was always trying to fill the void in my heart with things, men, drugs and alcohol. I lost 4 children due to my lifestyle and choices. My second husband introduced me to stripping. I loved the ‘high’ I felt while on stage, somehow I felt I had power and was beautiful. I became suicidal and slipped into a dark place. I prayed for God to help me if He was really out there. Some women who were coming into the clubs gave me a brochure about the Refuge for Women. I had found out I was pregnant again and was growing attached to my unborn child. So I left for Kentucky, for a new beginning. I completed my 1 year in the program almost a year ago and now I am the
mother of an 18 month old daughter. I sing on the praise and worship team at church, and I am interning at the
Refuge for Women. I had never felt so much love than while I was at the Refuge. They always pointed me to Christ and loved me no matter what! It is an honor to be able to “give back.” The Refuge
for Women saved my life, I do not know where I would be today without the program!”- Debbie
“I was a 23 year old mother of a 6 year old daughter struggling
to make money to
support us in Detroit, MI. My childhood was rough as my family was
dysfunctional and there were drugs, alcohol and abuse all around me. After becoming pregnant at only 16, everyone told me to have an abortion, but I just couldn’t. I got mixed up with the
wrong crowd and found myself stripping to make money to provide for me and my baby girl. But that life just led
to more
abuse and life got out of
I was doing things I never thought I would do for money.
While dancing, a woman came in to the club and gave me information about the Refuge for Women in Kentucky and she said it could help me get out of the clubs and start over. I desperately wanted to be a mother to my daughter and give her a good life. While going through the program at the Refuge I have learned so much about who I am, and that my past doesn’t define
who I am today.
I learned about God and what he wants for me and my
daughter. I am a “cycle breaker”.
No more addiction and abuse, it stops with my generation. I graduated from the Refuge 1 year program over 2 years ago and have been working full time, was given custody of my daughter and have a great home. I love to cook and am saving money and want to open my own restaurant some day!” - Jessica
“I was born into a family of alcohol that caused many
addiction and Financial struggles
problems and led to my parents divorcing. My mother’s second husband was an abusive man who raped me when I was in my early teens and provided drugs for me to get high with. My real father was killed in an accident and having to pull the life-support caused me much trauma as I was close to him. I began to drift into sexual promiscuity and a drug habit to fill a void in my life. I began prostituting myself at 15 years old to support my drug habit. Different men every night and drug binges became my life. I felt dirty, a shower couldn’t wash me clean. But I learned to put my feelings aside and began to live in a state of “numb”, not feeling any pain. I was in and out of rehabs for a couple years. After turning 18, I was arrested for drug paraphernailia and narcotics and went to adult jail for the first time. In April, 2012, so far
from God and living in a dark hell, and in jail again, a lady came in and gave me some information about the Refuge. I considered myself an atheist at the time. Conspiracies and delusions of my addiction still controlled my mind. I chose to go to the Refuge program and I know now that God was relentlessly pursuing me all along. I had been rescued out of slavery in Egypt and placed in the Promiseland. Every attempt at happiness up until this point was missing one key ingredient, the love of the Father. I am a 1 year graduate of the Refuge program and just started college at a
Christian university. I have a new life ahead of me. I had to let God do a work in me. Now I am grateful that He is using me to share hope with others. I know that I can only keep what I have, by giving it away!” - Brittany
Refuge for Women Success Indicators
Since opening in July 2010, Refuge for Women has served 44 women, ranging in age from 18 to 54 and from 14 different States. Of those served by Refuge for Women:
77% 53%
have not returned to the sex industry are employed and/or attending college
Program Levels Completed:
59% Level 2: 27% Teaching Level 3: 18% Transitional Level 4: 16% One Year Graduate
Level 1: Healing
Corporate and Business Partner Testimonies “As Sheriff, I come in contact on a daily basis with citizens who have no hope. Two years ago, I met one such young lady who had found herself in a situation that she had come to realize wasn't healthy or safe. By working with her I came to have my first experience with Refuge for Women. I witnessed how they help young women transform their lives in a safe and caring environment. I am forever thankful that when I needed a place to help assist a young woman free, herself from a dark life style and find shelter that Refuge for Women was there.” Kathy Witt, Sheriff | Fayette County Police Department
“I have known Ked Frank for the last 6 years and I am proud and honored to have served on the original Board of Directors for the Refuge for Women. Because of profound impact Refuge for Women makes on lives, we have chosen to be involved with the ministry. We will continue to show support both personally and as business owners. The RFW addresses the women's immediate life needs and has a longlasting impact on the women. For this reason, we are thrilled to partner with Ked and his team as they expand the reach of this wonderful ministry.”
“Recently I had the opportunity to shoot a story featuring Refuge for Women and the amazing work they are doing in central Kentucky. Many of us choose to not think about the sex industry and its power it has over young women, and many in our area are probably unaware that so many young women are in its grip right now. I saw firsthand through my story the impact this organization is having on real lives and how it truly gives those who have lost their way hope that there is a better tomorrow in the refuge they provide.” Amber Philpott, Anchor | WKYT TV
“It has been a pleasure and an honor to have been asked to take care of the dental needs of the ladies of the Refuge. They are all a delightful group of women and my team and I have enjoyed developing trusting relationships with them. There is nothing more important in building self-esteem than a beautiful smile, and that is our goal for everyone that enters the RFW!” Dr. Patricia Takacs, Dentist | Beaumont Family Dentistry
“I think we all face times in our life where we need a place of shelter to weather the storm that rages around us. Refuge for Women is that place for countless numbers of women who find themselves in a situation that seems impossible to escape. So often they are forgotten and over looked and see themselves as unworthy. But here in this home built on faith, they find hope for something immeasurably more. “ Rockie Mason, Community President | First Southern Bank
Rob Perez, Owner | Saul Good Restaurants
Corporate S ponsorship O pportunities Sponsorship Package
Reward Restore Rescue $36,000
Two minute spotlight at RFW Annual Gala Promote your business on our website Title Sponsor for all annual events Newsletter spotlight Annual spot light on giving receipt Email Blasts to partners advertise your business RFW Radio Program - spotlight your business Quarterly Leadership Luncheon - reduced rate for your leaders Sponsor plaque for your business office Prayer for your business and employees Annual report with results and impact of your partnership 30 day devotion (all employees up to 50)
Refuge for Women recognizes partnerships of “In Kind� gifts and services and uses the sponsorship packages above for all partnerships. 12